Friday, January 30, 2015

Only the second

Well, this is cheating a little bit.  But I thought it would be fun to share the news that this species has been seen in Santa Rosa during the last two days.  I haven't been able to go see it, but I have pictures of this species from Yosemite in October 2014.

Although my pictures show a male Williamson's Sapsucker (Sphyrapicus thyroideus), the individual observed in Santa Rosa on 29-30 January 2015 is a female (and they look quite different).

This woodpecker is normally found in coniferous forests at higher elevations.  The recent sighting in Santa Rosa is only the second time a Williamson's Sapsucker has been documented in Sonoma County!

Here's one more view of this very striking woodpecker:

Thursday, January 29, 2015

Cool as a...

Here's the mystery close-up from last night:

Did you have any guesses about what type of animal this is?

Someone noticed the sand grains in the photo.  They're important.  This is a burrowing animal.  It also eats organic detritus stuck to the sand that's probably why it's picking up a sand grain with a long tentacle: so it can transfer it to its mouth.  The tentacles in this species are amazing: They're like little hands!

It is an echinoderm, but its only tube feet are the modified tentacles that you see in the picture above (!).

And yes, it's common name is also a vegetable.

Meet Leptosynapta albicans, the burrowing sea cucumber.
There are so many things to talk about with this species that it's hard to choose.

Their skin is fascinatinghere's a zoomed in view:

Can you see all of the little anchors?  There are also some small oval discs called plates.  These anchors and plates are the sea cucumber's ossicles (calcareous skeletal elements).  The anchors act like hooks and probably help with locomotion and traction.

Below are some amazing pictures of the anchors and plates from a closely related species taken with a scanning electron microscope:

From Stricker, S.A.  1985.  The ultrastructure and formation of the calcareous ossicles in the body wall of the sea cucumber Leptosynapta clarki (Echinodermata, Holothuroida).  Zoomorphology 105: 209-222.

One day when I was looking at an individual sea cucumber under a microscope, I noticed something interesting at the back end.

It's usually smooth there, but there was an unusual cluster of tiny objects.  I zoomed in and saw this:

The objects had "polka dots" and what looked like long tentacles!

Do you know what's coming next?

I finally found one that was separate from the rest:

This is a juvenile Leptosynapta, only about 1 mm long.  This sea cucumber broods its young internally (in the ovaries, or ovarian tubules).  When the young are around ~5-6 months old, they are released.

The "polka dots" are small ossiclesthe skeleton of this tiny sea cucumber. 

Can you see the opaque white ring at the base of the tentacles?  Here's an even better view of it:

This is a calcareous ring that surrounds the esophagus.  It's made up of adjoining plates that are different shapes and sizes and arrangements, depending on the species.  [Fun fact: The calcareous ring is one of the only parts of a sea cucumber that is left behind in the fossil record!]

Although you might not know it at first if you found one of these small pink blobs in the sand or under a rock, this is one cool cucumber!

Wednesday, January 28, 2015

What's this?

Do you love the challenge of the close-up mystery photos, and are you always looking forward to the next one?  Well, there's no need to wait!  ;)

I haven't been able to get out in the field recently, so I went back into the archives for this one.

It's also going to be tricky, but see what you think.  I'll post the answer soon.

Tuesday, January 27, 2015

Spiky -- Part 2

Apologies for the delay.  A couple of nights ago, I posted a mystery photo and asked if you recognized the type of animal it was:

This is a tough one!

But isn't it intriguing?

I can give you a small hint, and tell you that the picture shows the animal viewed from above.

And here's another clue: This is the larval stage of a marine invertebrate.  So it's quite small (microscopic).

What makes it look so "spiky" are very long cilia used for swimming.

As an adult, it's colonial and the feeding members of the colony extend beautiful, bell-like lophophores to capture food particles from the water (see pictures at the end of this post).

Here's a view of the same animal from the side:

Note the triangular shape.  You can see that the lower edge is fringed by cilia, and that there's an apical tuft at the top. 

This is a cyphonautes larva the swimming stage of some species of bryozoans (the most common example in this area would be Membranipora).

In the image above, perhaps you noticed the long, narrow "bar" in the middle of the cyphonautes larva (it looks like a straw)?  It's one of the ciliated ridges that the larva uses to feed.  

The diagram below illustrates the basic feeding process.  There are different types of cilia on the ridges.  They draw water into an incurrent chamber, sieve particles from that water, move the particles to the mouth, then the water exits through the excurrent chamber:

Diagram modified from Strathmann and McEdward.  1986.  Cyphonautes' ciliary sieve breaks a biological rule of inference.  Biol. Bull. 171: 694-700.

Below is a short video clip of a cyphonautes larva swimming — viewed from the side and from above.  After watching the video, be sure to scroll down to see photos of the adults, too.

The larva will swim in the open ocean for several weeks before finding a place to settle down.  You'll recognize adult bryozoan colonies as white, lacy crusts on kelps or other seaweeds.  Here's what they look like under a microscope:

The adult bryozoan colony and the cyphonautes larva look so different that it was a long time before the connection was made between the two stages.  It's easy to see why!

Sunday, January 25, 2015


Lots of chores today, so not much time tonight.  For now I'll leave you with a fun mystery photo.  Do you have any guesses about what type of animal this is?  I'll reveal the answer soon, but you have a little time to study and wonder.   ;)

Saturday, January 24, 2015

Sunset and spindrift

The setting sun lit up the spray coming off the backsides of the waves tonight.  That's about a 9-9.5 foot swell, with an east wind blowing around 6-8 mph (5-7 knots).

[Calculated crystals that have nothing to do with the page]
'''
Starting from a PBE-relaxed structure, the powder diffractogram of PaMn2Ge2 was computed for a wavelength of 1.5418 Å.
No peak broadening, texture or thermal motion is included.

Top 12 peaks for 2θ = 10–90°, low angle first:
| h k l | d [Å] | 2theta | Rel. int. |
| --- | --- | --- | --- |
| 1 1 1 | 3.829 | 23.23 | 62 |
| 0 2 0 | 3.330 | 26.77 | 20 |
| 0 2 2 | 2.672 | 33.54 | 100 |
| 1 1 3 | 2.440 | 36.84 | 84 |
| 2 0 2 | 2.340 | 38.48 | 69 |
| 2 2 0 | 2.118 | 42.70 | 80 |
| 1 3 3 | 1.694 | 54.13 | 28 |
| 0 4 0 | 1.665 | 55.16 | 19 |
| 1 1 5 | 1.649 | 55.73 | 32 |
| 2 2 4 | 1.538 | 60.15 | 19 |
| 3 1 3 | 1.519 | 61.01 | 19 |
| 2 4 2 | 1.357 | 69.26 | 25 |

Atomic structure:
Lattice parameters (Å, degrees): 5.488 6.660 8.954 90.00 90.00 90.00
Space group Fmmm (No. 69)
Symmetry-distinct sites (fractional):
Pa: 0.000 0.000 0.000 (multiplicity 4)
Mn: 0.000 0.000 0.386 (multiplicity 8)
Ge: 0.250 0.250 0.250 (multiplicity 8)

~~~~~

Record 1
CrP4C2O2: theoretical X-ray powder pattern (λ = 1.5418 Å (Cu Kα)), based on a cell relaxed with GGA+U.
Lines closer than 0.1° are merged.

Most intense lines, 2θ from 10° to 90°, most intense first:
2θ = 14.42°, d 6.141, rel. 100
2θ = 12.82°, d 6.905, rel. 68
2θ = 16.25°, d 5.455, rel. 45
2θ = 17.52°, d 5.062, rel. 36
2θ = 30.68°, d 2.915, rel. 34
2θ = 25.83°, d 3.449, rel. 25
2θ = 30.39°, d 2.941, rel. 23
2θ = 14.70°, d 6.027, rel. 22
2θ = 14.92°, d 5.938, rel. 21
2θ = 27.60°, d 3.232, rel. 14

Structure:
```
CrP4C2O2
1.0
3.6691 -5.9382 0.0000
3.6691 5.9382 0.0000
-2.9620 0.0000 13.8103
Cr P C O
2 8 4 4
direct
0.0680 0.9320 0.7500
0.9320 0.0680 0.2500
0.0680 0.7126 0.8520
0.2100 0.3282 0.3596
0.2874 0.9320 0.6480
0.3282 0.2100 0.8596
0.6718 0.7900 0.1404
0.7126 0.0680 0.3520
0.7900 0.6718 0.6404
0.9320 0.2874 0.1480
0.0459 0.1423 0.6748
0.1423 0.0459 0.1748
0.8577 0.9541 0.8252
0.9541 0.8577 0.3252
0.0322 0.2656 0.6293
0.2656 0.0322 0.1293
0.7344 0.9678 0.8707
0.9678 0.7344 0.3707
```

=====

Record 2
Mn3O2F4: theoretical X-ray powder pattern (λ = 1.5418 Å (Cu Kα)), based on a cell relaxed with GGA+U.
Lines closer than 0.1° are merged.

Most intense lines, 2θ from 10° to 90°, most intense first:
2θ = 26.60°, d 3.351, rel. 100
2θ = 33.37°, d 2.685, rel. 33
2θ = 33.74°, d 2.657, rel. 25
2θ = 51.13°, d 1.787, rel. 17
2θ = 51.49°, d 1.775, rel. 17
2θ = 51.90°, d 1.762, rel. 14
2θ = 51.75°, d 1.766, rel. 14
2θ = 38.74°, d 2.325, rel. 12
2θ = 65.47°, d 1.426, rel. 12
2θ = 56.97°, d 1.616, rel. 11

Structure:
```
Mn3O2F4
1.0
3.3569 -3.3447 0.0000
3.3569 3.3447 0.0000
-0.1557 0.0000 9.6986
Mn O F
6 4 8
direct
0.0000 0.0000 0.0000
0.0295 0.0295 0.6743
0.5032 0.4968 0.5000
0.5288 0.4596 0.8252
0.5404 0.4712 0.1748
0.9705 0.9705 0.3257
0.3334 0.3051 0.6659
0.6949 0.6666 0.3341
0.8115 0.1668 0.1675
0.8332 0.1885 0.8325
0.1920 0.8080 0.5000
0.2241 0.7652 0.1587
0.2348 0.7759 0.8413
0.2867 0.2655 0.3372
0.3385 0.2841 0.0123
0.7159 0.6615 0.9877
0.7345 0.7133 0.6628
0.8081 0.1919 0.5000
```

=====

Record 3
'''

Thursday, January 22, 2015

Scarlet O'Holothuroid

Once again, Eric's sharp eyes spotted a very special animal in the intertidal zone on Bodega Head.

Meet Lissothuria nutriens, also known as the Scarlet Sea Cucumber.  (Remember that sea cucumbers are in the echinoderm Class Holothuroidea).  Don't worry if you haven't seen this species beforethey're smallusually less than ~2 cm (~0.75 inches) long.

And this species is more common from Monterey Bay south.  It's probably rare in northern California.  There's only one record in the California Academy of Sciences collection for Marin and Sonoma counties (from Duxbury Reef).

Here's a close-up of the branched tentacles:

And one of my favorite viewsthe wonderful, elephantine tube feet on the ventral (under) surface.  Note the shiny ossicles.

Although Lissothuria can move around, they are mostly sedentary.  This individual was partially camouflaged by bits of shell, algae, and other debris held by its tube feet.

Interestingly, this sea cucumber is a brooderit releases eggs and broods them in pits on its dorsal surface, so the potential for long distance dispersal of its young is low.

This is our second time finding Lissothuria on Bodega Head.  It's intriguing to think about how they got here and to wonder about whether they'll become more common in the future (if water temperatures become warmer).

Wednesday, January 21, 2015

Something new in the salt marsh

I've become quite enamored with pipits since moving to the West Coast.  This one was taking advantage of the high tide in the salt marsh in Bodega Harbor today, searching for insects among the vegetation along the water's edge.

I was having fun just observing the pipit in its habitat, watching it feeding, wondering about what it was finding...

...when I noticed something I hadn't seen before:

Sometimes the feathers above the pipit's eyes flared into little tufts!

I'm not sure what was going on, as I don't recall noticing this in pipits before, or seeing it mentioned when reading about them.  But it was definitely there on several occasions.  Have I just been missing it?  Have you seen this before?  Do you know what it's about?  I'd be interested in your observations and thoughts.

Monday, January 19, 2015

Rorschach test

If you walked by a tidepool and saw this, would you recognize it?

The brown substance in the water is distinctive once you've seen it a few times.  Here's another view, a few seconds later (below).  Note how it changes shape, and that it doesn't dissolve or disappear right away:

And the answer is?  Well, here's the animal responsible for it:

The brown substance in the water is octopus ink.  This octopus released a cloud of ink while jetting across a shallow tidepool.  Afterwards, the octopus settled on the bottom briefly and then crawled under a rock.

Octopus ink is a combination of pigment, e.g., melanin (released by the ink sac) and mucous (released by the funnel organ).  It's quite effective as a distraction.  The ink morphs into a variety of shapes, and stays visible for several minutesgiving the octopus plenty of time to escape while a potential predator is confused by the ink.

You might have seen some cephalopod ink that is black.  Ink color varies depending on the species.  Whenever we've seen Octopus rubescens ink, it's been orange-brown in color.

Saturday, January 17, 2015

Orange peel

We had a few minutes after finishing some field work at Pinnacle Gulch, so we looked around in the intertidal zone.  A bright orange animal caught my eye:

A closer view revealed just how orange this nudibranch was!

In the picture above, you can also see relatively long papillae (or projections) that make the nudibranch look fuzzy, white flecks scattered across the surface, dark tips to the rhinophores (the sensory organs), and a hint of the white gill plumesall important characteristics of an Orange-peel Dorid (Acanthodoris lutea).

The orange color is important to the nudibranch.  It's an example of aposematic coloration, or "warning" coloration a signal to potential predators that the nudibranch is unpalatable or toxic.

Here's one more image, this time from above.   The water was flowing by at the time, so the rhinophores are leaning to the left.  This shot includes a better view of the extended white gill plumes.

Although they're known to occur from Cape Arago, Oregon to northern Baja California, Orange-peel Dorids appear to be uncommon in the Bodega Bay area.  This is the first time we've encountered this species locally.

Friday, January 16, 2015

What the eagle had landed on...

Was anyone else wondering about what the eagle was eating?

Did you notice the feathers behind the eagle?

Well, later in the day, long after the eagle (and vultures) had left the scene, I couldn't help it.  I walked out onto the tidal flats to look at the feathers to see if there were any that might be definitive for an identification.

I should mention that Eric thought he saw a lot of black and white when he was watching the eagle eating.  And my instinct said that the prey item was likely a duck.  (So it's helpful to start thinking about the types of ducks that are present in Bodega Harbor.)

If you'd like to try to guess, below are pictures of three feathers.  In the field, there were some feathers that were all black and some feathers that were all white, but these feathers with beautiful vermiculations provided the best clues:

Are you ready to guess?

I think the eagle was eating a scaup, probably a Greater Scaup (Aythya marila).

Check out this wonderful Greater Scaup picture that Len took at Lake Merced, compare the feathers on the upperparts, and see if you think it could be a match.

If you've seen eagles eating other interesting prey in this area, I'd love to hear about it.

Thursday, January 15, 2015

"Power hopping"

Driving by Gaffney Point in Bodega Harbor this morning, I noticed the vultures were interested in a bird that was larger than they were.  Do you recognize it?

The birds were out on the mudflats, but here's a zoomed in view (below).  I suppose I should clarify that the vultures were interested in what this young Bald Eagle (Haliaeetus leucocephalus) was eating, not necessarily in the bird itself:

More Turkey Vultures started to gather nearby:

At first the eagle was focused on eating its prey, but eventually it turned to defend its meal.  It "power hopped" (a new term! = using its wings along with its legs) among the vultures to force them to back away.

When the eagle left its partially eaten prey, the vultures wasted no time (next image).  How many vultures do you count?

Between two parts of the entry: crystal structures >
/*
Starting from DFT lattice parameters and positions (PBE), the X-ray powder pattern of AcLa8Y4 was computed for Cu Kα X-rays.

Peak list (10 most intense, 2θ from 10° to 80°, by intensity)
29.89 deg, d 2.989, intensity 100; 37.30 deg, d 2.411, intensity 43; 26.45 deg, d 3.370, intensity 33; 34.03 deg, d 2.635, intensity 22; 53.06 deg, d 1.726, intensity 20; 21.79 deg, d 4.079, intensity 20; 54.46 deg, d 1.685, intensity 18; 45.91 deg, d 1.977, intensity 17; 62.10 deg, d 1.495, intensity 13; 30.47 deg, d 2.934, intensity 12

Structural model:
Cell lengths 11.9571, 11.9571, 12.2373 Å; angles 90.00, 90.00, 120.00 degrees
Space group R-3m (No. 166, hexagonal axes)
One atom of each set of equivalent atoms:
1 Ac 0.0000 0.0000 0.0000 x3
2 La 0.0000 0.0000 0.2676 x6
3 La 0.0026 0.5013 0.1686 x18
4 Y 0.0000 0.0000 0.5000 x3
5 Y 0.0000 0.5000 0.5000 x9

=====

Simulated powder X-ray diffraction pattern
Compound: Mg3Rh
Radiation: Cu Kα X-rays
Structure: a crystal structure in Alexandria, relaxed with GGA-PBE
Peak positions follow from Bragg's law for the DFT cell and can differ from measured ones.

Cell and atoms:
Cell lengths 7.399, 8.053, 5.222 Å; angles 90.00, 90.00, 90.00 degrees
Sites, in units of the cell vectors:
Mg1 0.026 0.250 0.095
Mg2 0.171 0.062 0.609
Mg3 0.171 0.438 0.609
Mg4 0.329 0.562 0.109
Mg5 0.329 0.938 0.109
Mg6 0.474 0.750 0.595
Mg7 0.526 0.250 0.405
Mg8 0.671 0.062 0.891
Mg9 0.671 0.438 0.891
Mg10 0.829 0.562 0.391
Mg11 0.829 0.938 0.391
Mg12 0.974 0.750 0.905
Rh1 0.129 0.750 0.422
Rh2 0.371 0.250 0.922
Rh3 0.629 0.750 0.078
Rh4 0.871 0.250 0.578

Most intense lines, 10° ≤ 2θ ≤ 90°, by angle:
hkl 0 1 1, 2θ = 20.27°, I 49.5; hkl 1 0 1, 2θ = 20.82°, I 79.8; hkl 0 2 0, 2θ = 22.08°, I 79.5; hkl 1 1 1, 2θ = 23.60°, I 100.0; hkl 2 1 0, 2θ = 26.51°, I 73.5; hkl 2 2 1, 2θ = 37.23°, I 49.3; hkl 1 1 2, 2θ = 38.22°, I 73.1; hkl 1 3 1, 2θ = 39.67°, I 80.3; hkl 3 0 1, 2θ = 40.45°, I 59.2; hkl 2 3 0, 2θ = 41.57°, I 61.7; hkl 1 2 2, 2θ = 43.06°, I 49.6; hkl 2 2 3, 2θ = 63.42°, I 36.0

Simulated powder X-ray diffraction pattern
Compound: Mg2Si
Radiation: Cu Kα X-rays
Structure: a crystal structure in Alexandria, relaxed with GGA-PBE
Peak positions follow from Bragg's law for the DFT cell and can differ from measured ones.

Cell and atoms:
Cell lengths 5.911, 6.121, 7.594 Å; angles 104.25, 97.92, 108.63 degrees
Sites, in units of the cell vectors:
Mg1 0.000 0.000 0.000
Mg2 0.001 0.886 0.388
Mg3 0.306 0.486 0.317
Mg4 0.365 0.833 0.813
Mg5 0.601 0.051 0.550
Mg6 0.703 0.595 0.649
Mg7 0.725 0.297 0.233
Mg8 0.986 0.459 0.945
Si1 0.049 0.385 0.580
Si2 0.317 0.249 0.771
Si3 0.369 0.868 0.178
Si4 0.595 0.602 0.034

Most intense lines, 10° ≤ 2θ ≤ 90°, by angle:
*/
End of the crystal structures >

Soon the eagle made its way back to finish off the rest of the prey.

There were several "scuffles" when the birds "shuffled," and I managed one flight shot:

Note the Western Gull below the eagle for scale.

Bald Eagles have been reported recently from the Russian River, Tomales Bay, and Bodega Harbor.  Perhaps this picture will be good enough to identify this individual so that we can tell if it's the same bird moving around among these different sites.

P.S.  Here's a nice shot of two adult Bald Eagles on Hog Island in Tomales Bay on 23 November 2012.

P.P.S.  A Bald Eagle won't show a completely white head until it's ~5 years old.

Wednesday, January 14, 2015

Looking west

Sunset from Bodega Head, 14 January 2015

Tuesday, January 13, 2015

Looking east

Sunrise over Bodega Harbor, 12 January 2015

Saturday, January 10, 2015

The Digger

While wandering yesterday and encountering those Northern Flicker feathers, I also noticed a small mammal nearby that perhaps had been left behind by a predator.  It wasn't in the best condition, but you don't get to see this species very often because it spends most of its life underground (in fact, I think these are my first photographs of this species from Bodega Head), so I've decided to show a few images:

Have you seen this species before?  I'm guessing you've at least noticed evidence of its subterranean runways on the surface of the ground. 

There are four species of moles that live in California, two of which have been recorded on Bodega Head.  I showed one species, the American Shrew-Mole, on 9 February 2013 (review that post here).  The mole pictured above is a Broad-footed Mole (Scapanus latimanus).

I used the name "Broad-footed Mole" because that's the name commonly used by other sources.  But I was tempted to rebel and use "Broad-handed Mole" because the species name, "latimanus" translates directly into "broad hand."  And a broad hand it is!

The entire mole was ~14 cm long.  The front "hand" was ~2 cm long and ~1.5 cm wide.  Note that the claws are quite long and take up ~50% of the hand!

On the opposite end, the hind feet are much, much smallernot so important for digging.

I'll point out one more important characteristic for nowthe tail.  If you review the first photo (I'll show it again below), note the length of the tail (is it short or long?) and whether it's covered with hairs or not.

The short, hairy tail helps identify this as a Broad-footed Mole.

P.S.  I know this might seem a little random, but whenever I see a mole I almost always think of two things from my past that triggered visualizations of what life might be like for a mole:

- A drawing by one of my favorite illustrators"Dead End Mole" by Peter Parnall.  You can see it here. (Click on the thumbnail to see the complete version.)

- A wonderful book that Julie recommended to me Duncton Wood by William Horwood.  It's written in the style of Watership Down, but with moles instead of rabbits. 

Friday, January 9, 2015

Feather puzzle #2

These are the first feathers I found (below).  They were scattered on the ground, but I lined them up for the photo.   

Do you have a guess about which species of bird they belong to? 

The largest feather is about 4.5 cm (1.75 inches) long and the smallest is about 2.5 cm (1 inch) long.

The patterning on the feathers made me think of one group of birds, but I couldn't be certain.  So I looked around for more clues.  

I finally found a different type of feather and it surprised me a bit.  I was right about the family, but I hadn't yet considered the species.

The next photo might give the answer away, so if you want to keep trying with the first feathers, don't scroll down until you're ready.

And this is what it looked like when I flipped it over:

Scanning around, I found one other feather type:

Did you guess Northern Flicker (Colaptes auratus)?  

The bright yellow coloration gives it awayalthough some of you probably know that the more common form of Northern Flicker in this area has red or salmon coloration on its feathers instead of yellow.

The next question is, what types of feathers are these, especially the first ones?  Can you picture where they might be found on a flicker?

The smaller, black-and-white feathers are uppertail-coverts.  The Birds of North America account includes a great description of them: "Uppertail-coverts are diversely patterned, white with black bars, chevrons, 'horseshoes,' or other marks (Short 1982)."

The middle photos highlight a long, pointed tail feather dominated by yellow on its underside.

And the last photo is a secondary featherone of the inner wing feathers.

Unfortunately, I realized that I don't have a good picture of a Northern Flicker.  :/  But you can see all three feather types in these illustrations:

Those first feathers had my mind twirling.  That was a fun puzzle!

P.S.  I read that possible predators of flickers include accipiters (e.g., Cooper's Hawks), Red-shouldered Hawks, and Northern Harriers.